Healing In Nature

Healing In Nature
There Is A Season For Everything

Wednesday, June 19, 2013

Wisconsin Parade of Nature Continues

Lake Winnebago South Shore
Last week we went to our son's 50th birthday at his lakeside home which includes waterfront on Lake Winnebago.  It was a peaceful sight and even before I went over to greet and hug my son I grabbed my Canon EOS Digital and headed for the shore!  The sunset was extravagant in displaying the mighty reflection of dusk greeting the mass water of Lake Winnebago.  The closing and beginning of my day evokes such energy and joy, it makes me ponder, celebrate that we have such a fanciful God that paints our sun sets and sun rises with the panorama only He can create.  Joy, Joy, Joy!

A calm sunrise greets us most days
 Even on common everyday wake ups here, it can still be breathtaking.  We lived on that very lake in the picture above for 18 years raising our five kids.  It was breathtaking most evenings with that gorgeous sunset.
         Here in our little hermitage we face East.  Our home is on a hill and our land runs down to be part of the valley which is what my eyes feast on in the morning.  This picture shows the pasture, and the 9 acre field we let a farmer use for planting and beyond is wild area that holds woods, wetland, a pond and breaks of meadow.

Both areas, the lake we lived on for 18 years,  and now our 26 years in the country have been a beautiful blessing. As I aged to the point my life is right now, I often reflect on the extravagant happenings, also, most days are sutler as the picture of a calm day break.

But each morning I awake and quickly look to the sky to see what kind of day it will be.  Sailors, not having news and weather to help them did the same.  Red in the morning the sailors warning, Red in the night is the Sailors delight.
Looking to the East early morning.

The month of June almost makes me forget there is a winter!!   Each day I discover a new bud of color peeking out of the lush green foliage.  Or there is a grand display of God's orchestra in full view.  

Spring Daises running wild.  I let them have their way, loving their river of Joy flowing through the gardens.  Afterwards they get pruned back and half removed to give room for other perennials coming.

Rosy Pink peonies are close by to share the scene.  

Another peonie is very full and demands lots of attention as I walk by each morning.  I never am without my camera to witness this rebirth of nature that surrounds me.

Bearded Iris are in full swing.  This one's name is Amazing Grace .
A very appropriate name for the delicate colors and the bright orange beard.

Columbine are not to be out done.
This is one of my favorite flowers that I search for each day until I discover it humbly fit in amongst the big show stoppers, like the peonies and the Iris

In the wilder areas we have Dames Rocket accent the Crazy Daises .
Chickens add color to the gardens besides eating lots of bugs and
then the added bonus --  large organic eggs.. emmmm so good in the morning!
Gracie is always good for a stunning surprise.  I thought she got her head caught in this flower pot that got set on a fountain we are getting ready to move to the rock garden.  I cried out, "Oh Gracie you poor thing!"  She promptly looked up and gazed at me with the mad look for disturbing her morning drink.  We do have fresh water in the  tack room for the  three cats every day, but for some reason the cats and chickens love to drink out of a puddle or as in this picture rain water in the flower pot.

Gracie is very old but with our good care, shots, good food, warm tack room
and being neutered she has blessed us with catching lots of vermin.

Believe it or not this is a peonie.  It made me smile when I saw it in its full bloom soaking up the morning sun.

## Next to the article, the page also holds calculated crystals
<<<
A relaxed HfOsRh crystal, computed with PBE.

Results
formation enthalpy at 0 K: -456.7 meV/atom

Cell: 4.5426 7.8589 5.4243 Å, 90.00 90.00 90.00°
With the nearest neighbours (Å) after each atom.
Space group Cmcm (No. 63)
Inequivalent atoms, fractional coordinates:
Hf: 0.0000 0.1673 0.2500 [4 per cell]  5 Rh 2.62-2.71
Os: 0.0000 0.5000 0.0000 [4 per cell]  2 Os 2.71, 6 Hf 2.95, 6 Rh 2.95
Rh: 0.0000 0.1662 0.7500 [4 per cell]  5 Hf 2.62-2.71

A relaxed Hf3OsRh2 crystal, computed with PBE.

Results
formation enthalpy at 0 K: -821.8 meV/atom
ΔE to the lowest computed polymorph: 0 meV/atom

Cell: 4.6226 4.6226 5.6409 Å, 90.00 90.00 120.00°
With the nearest neighbours (Å) after each atom.
Space group P-3m1 (No. 164)
Inequivalent atoms, fractional coordinates:
Hf: 0.0000 0.0000 0.0000 [1 per cell]  6 Rh 2.82, 2 Os 2.82
Hf: 0.3333 0.6667 0.6617 [2 per cell]  5 Rh 2.80-2.85, 3 Os 2.82
Os: 0.0000 0.0000 0.5000 [1 per cell]  8 Hf 2.82
Rh: 0.3333 0.6667 0.1589 [2 per cell]  8 Hf 2.80-2.85

A relaxed HfOs2RhSe crystal, computed with PBE.

Results
raw formation energy: 7.6 eV per formula unit

Cell: 4.7075 4.7075 4.8742 Å, 90.00 90.00 90.00°
With the nearest neighbours (Å) after each atom.
Space group P4/mmm (No. 123)
Inequivalent atoms, fractional coordinates:
Hf: 0.0000 0.0000 0.0000 [1 per cell]  2 Rh 2.44
Os: 0.0000 0.5000 0.5000 [2 per cell]  2 Rh 2.35
Rh: 0.0000 0.0000 0.5000 [1 per cell]  4 Os 2.35, 2 Hf 2.44
Se: 0.5000 0.5000 0.0000 [1 per cell]  4 Hf 3.33, 8 Os 3.39

A relaxed SmHfOsRh crystal, computed with PBE.

Results
formation enthalpy at 0 K: -484.3 meV/atom

Cell: 6.7381 6.7381 6.7381 Å, 90.00 90.00 90.00°
With the nearest neighbours (Å) after each atom.
Space group F-43m (No. 216)
Inequivalent atoms, fractional coordinates:
Sm: 0.0000 0.0000 0.0000 [4 per cell]  4 Os 2.92, 4 Rh 2.92
Hf: 0.0000 0.0000 0.5000 [4 per cell]  4 Rh 2.92, 4 Os 2.92
Os: 0.2500 0.2500 0.2500 [4 per cell]  4 Hf 2.92, 4 Sm 2.92
Rh: 0.2500 0.2500 0.7500 [4 per cell]  4 Hf 2.92, 4 Sm 2.92

For each record above, in turn, the calculated DOS(E_F) values are 1.3101, 0.4461, 1.3101, 0.3958 states/eV/atom.
>>>

This Iris has shown the Glory of its Creator!  The colors are stunning and
check out the fuzzy blue and yellow beard on the fall.  The ruffled edges and the
emphasizing  lines in the  -fall - as  in a waterfall.  I just love it!

The first Ornamental Lilies are open.  This year there is an over abundance of buds.
It is a smaller lily with a brown stripe on the outside.

### These calculated crystals were left in the page by mistake
~~~
A relaxed KPmPb4 crystal. Source: the Alexandria database, functional PBE.

a = 9.274 Å, b = 9.274 Å, c = 9.274 Å
α = 90.00°, β = 90.00°, γ = 90.00°
Space group F-43m (No. 216)
One atom of each set of equivalent atoms:
K 0.000 0.000 0.000 x4
Pm 0.250 0.250 0.250 x4
Pb 0.124 0.124 0.624 x16

Energy of formation from the pure elements ... -0.1721 eV per atom


(1)
# Li2TcNi

An optimized crystal structure of Li2TcNi (PBE-GGA, the Alexandria database).

Cell: 4.4453 4.4453 4.9682 Å, 95.85 95.85 32.86°
Atoms (fractional coordinates):
Li  0.0000  0.0000  0.0000
Li  0.2412  0.2412  0.8014
Tc  0.4818  0.4818  0.4757
Ni  0.7355  0.7355  0.3133

Properties
total energy = -4.835 eV/atom
DOS at the Fermi energy = 2.91 states/eV/f.u.
excess energy over the best structure of this formula in the dataset = 74 meV/atom
energy of formation from the pure elements = 0.159 eV/atom
spin magnetization = 0.000 μB/cell

(2)
# BeMoAs2

An optimized crystal structure of BeMoAs2 (PBE-GGA, the Alexandria database).

Cell: 4.3158 4.3158 3.2225 Å, 90.00 90.00 99.17°
Atoms (fractional coordinates):
Be  0.0000  0.0000  0.0000
Mo  0.5000  0.5000  0.0000
As  0.0000  0.5000  0.5000
As  0.5000  0.0000  0.5000

Properties
total energy = -5.655 eV/atom
DOS at the Fermi energy = 2.12 states/eV/f.u.
energy of formation from the pure elements = 0.309 eV/atom
spin magnetization = 0.000 μB/cell

(3)
# BaIrS2Cl

An optimized crystal structure of BaIrS2Cl (PBE-GGA, the Alexandria database).

Cell: 5.3387 5.3387 4.3276 Å, 90.00 90.00 90.00°
Atoms (fractional coordinates):
Ba  0.0000  0.0000  0.0000
Ir  0.5000  0.5000  0.0000
S  0.0000  0.5000  0.5000
S  0.5000  0.0000  0.5000
Cl  0.5000  0.5000  0.5000

Properties
total energy = -3.917 eV/atom
formation energy (no corrections) = 260 meV per atom
DOS at the Fermi energy = 4.62 states/eV/f.u.
excess energy over the best structure of this formula in the dataset = 1093 meV/atom
spin magnetization = 0.532 μB/cell

(4)
# Nd2P4Ru5

An optimized crystal structure of Nd2P4Ru5 (PBE-GGA, the Alexandria database).

Cell: 8.2499 7.1380 5.7607 Å, 78.73 58.05 43.22°
Atoms (fractional coordinates):
Nd  0.1329  0.1329  0.8671
Nd  0.8671  0.8671  0.1329
P  0.2138  0.5220  0.4780
P  0.4780  0.7862  0.2138
P  0.5220  0.2138  0.7862
P  0.7862  0.4780  0.5220
Ru  0.0000  0.0000  0.5000
Ru  0.2500  0.2500  0.2500
Ru  0.5000  0.5000  0.0000
Ru  0.5000  0.5000  0.5000
Ru  0.7500  0.7500  0.7500

Properties
total energy = -7.842 eV/atom
DOS at the Fermi energy = 7.17 states/eV/f.u.
energy of formation from the pure elements = -0.792 eV/atom
spin magnetization = 0.000 μB/cell

(5)
# ErZn6Co6

An optimized crystal structure of ErZn6Co6 (PBE-GGA, the Alexandria database).

Cell: 6.4991 6.4991 6.4991 Å, 135.71 98.26 98.08°
Atoms (fractional coordinates):
Er  0.0000  0.0000  0.0000
Zn  0.1993  0.5000  0.6993
Zn  0.3378  0.3378  0.0000
Zn  0.3492  0.0000  0.3492
Zn  0.6508  0.0000  0.6508
Zn  0.6622  0.6622  0.0000
Zn  0.8007  0.5000  0.3007
Co  0.0000  0.0000  0.5000
~~~

How can I tell you there is a Loving God
I can show you His painting
I can express the joy in waking up to His Blessings
  I can carry Hope no matter what happens in my day.
I can share the miracles in my life, answered prayer, I can quote Scripture like Matthew 7:7-8  "Ask, and it will be given to you;  seek, and you will find, knock, and it will be opened to you. For everyone who asks receives, and he who seeks finds, and to him who knocks it will be opened."

But, the best thing I can do for you to see, hear, and experience is to sit quietly, ask Jesus Christ, to come in to the door of your heart, and wait........He will come!

  A God Hug to you all , artist unknown, it was emailed to me awhile back.
Blessings and Love to you all.

